[Excerpt]
/*
This record from Alexandria via LeMat-Bulk describes an optimized crystal structure of ScCrSi2. The functional is GGA-PBEsol.

Results
energy relative to the elements, uncorrected	175	meV per atom
raw total energy	-6.910	eV per atom
energy relative to the lowest polymorph listed for this composition	2.28	eV/f.u.
V	18.338	A^3/atom
mass density	3.47	g cm⁻³
space-group type	I-42d, No. 122

Cell: 8.5351 8.5351 8.5351 Å, 150.90 150.90 41.62°
With the nearest neighbours (Å) after each atom.
Sites, in units of the cell vectors:
Sc 0.0000 0.0000 0.0000  4 Si 2.81, 4 Cr 3.03
Sc 0.7500 0.2500 0.5000  4 Si 2.81, 4 Cr 3.03
Cr 0.2500 0.7500 0.5000  4 Si 2.32
Cr 0.5000 0.5000 0.0000  4 Si 2.32
Si 0.2623 0.6250 0.1373  2 Cr 2.32, 2 Si 2.35
Si 0.3750 0.5123 0.6373  2 Cr 2.32, 2 Si 2.35
Si 0.4877 0.1250 0.8627  2 Cr 2.32, 2 Si 2.35
Si 0.8750 0.7377 0.3627  2 Cr 2.32, 2 Si 2.35

----------

The following is a GGA-PBE calculation of PaTePb after structural relaxation, from Alexandria.

* formation energy from raw total energies: -0.116 eV/atom
* size of the total moment: 0.00 μB per atom

```
6
Lattice="15.415 0.000 0.000 0.000 1.830 3.170 0.000 -1.830 3.170" Properties=species:S:1:pos:R:3 pbc="T T T"
Pa 0.000 0.000 0.000
Pa 7.707 0.000 0.034
Te 2.213 0.000 2.112
Te 13.202 0.000 2.112
Pb 5.051 0.000 4.257
Pb 10.364 0.000 4.257
```

----------

{"formula": "Ca3Er3Ge2BO13", "functional": "GGA-PBE", "state": "relaxed", "cell": [[-2.602, 4.992, -4.794], [-4.814, -5.020, -2.510], [-7.224, 1.576, -0.084]], "species": ["Ca", "Ca", "Ca", "Er", "Er", "Er", "Ge", "Ge", "B", "O", "O", "O", "O", "O", "O", "O", "O", "O", "O", "O", "O", "O"], "fractional_positions": [[0.770, 0.767, 0.462], [0.232, 0.768, 0.000], [0.233, 0.230, 0.538], [0.229, 0.224, 0.000], [0.774, 0.226, 0.000], [0.776, 0.771, 0.000], [0.745, 0.255, 0.500], [0.247, 0.753, 0.500], [0.504, 0.496, 0.000], [0.991, 0.009, 0.000], [0.417, 0.567, 0.843], [0.426, 0.248, 0.157], [0.433, 0.583, 0.157], [0.752, 0.574, 0.843], [0.153, 0.858, 0.298], [0.147, 0.454, 0.705], [0.142, 0.847, 0.702], [0.546, 0.853, 0.295], [0.837, 0.150, 0.703], [0.841, 0.546, 0.298], [0.850, 0.163, 0.297], [0.454, 0.159, 0.702]], "de_polymorph_ev_per_atom": 0.004, "n_ef_per_ev_fu": 0.00, "e_form_raw_ev_per_atom": -2.910, "space_group": "C2 (5)"}
*/
[To do]
Echo the data further above from the line with "Results" to the end without altering anything.
[Result]
Results
energy relative to the elements, uncorrected	175	meV per atom
raw total energy	-6.910	eV per atom
energy relative to the lowest polymorph listed for this composition	2.28	eV/f.u.
V	18.338	A^3/atom
mass density	3.47	g cm⁻³
space-group type	I-42d, No. 122

Cell: 8.5351 8.5351 8.5351 Å, 150.90 150.90 41.62°
With the nearest neighbours (Å) after each atom.
Sites, in units of the cell vectors:
Sc 0.0000 0.0000 0.0000  4 Si 2.81, 4 Cr 3.03
Sc 0.7500 0.2500 0.5000  4 Si 2.81, 4 Cr 3.03
Cr 0.2500 0.7500 0.5000  4 Si 2.32
Cr 0.5000 0.5000 0.0000  4 Si 2.32
Si 0.2623 0.6250 0.1373  2 Cr 2.32, 2 Si 2.35
Si 0.3750 0.5123 0.6373  2 Cr 2.32, 2 Si 2.35
Si 0.4877 0.1250 0.8627  2 Cr 2.32, 2 Si 2.35
Si 0.8750 0.7377 0.3627  2 Cr 2.32, 2 Si 2.35

----------

The following is a GGA-PBE calculation of PaTePb after structural relaxation, from Alexandria.

* formation energy from raw total energies: -0.116 eV/atom
* size of the total moment: 0.00 μB per atom

```
6
Lattice="15.415 0.000 0.000 0.000 1.830 3.170 0.000 -1.830 3.170" Properties=species:S:1:pos:R:3 pbc="T T T"
Pa 0.000 0.000 0.000
Pa 7.707 0.000 0.034
Te 2.213 0.000 2.112
Te 13.202 0.000 2.112
Pb 5.051 0.000 4.257
Pb 10.364 0.000 4.257
```

----------

{"formula": "Ca3Er3Ge2BO13", "functional": "GGA-PBE", "state": "relaxed", "cell": [[-2.602, 4.992, -4.794], [-4.814, -5.020, -2.510], [-7.224, 1.576, -0.084]], "species": ["Ca", "Ca", "Ca", "Er", "Er", "Er", "Ge", "Ge", "B", "O", "O", "O", "O", "O", "O", "O", "O", "O", "O", "O", "O", "O"], "fractional_positions": [[0.770, 0.767, 0.462], [0.232, 0.768, 0.000], [0.233, 0.230, 0.538], [0.229, 0.224, 0.000], [0.774, 0.226, 0.000], [0.776, 0.771, 0.000], [0.745, 0.255, 0.500], [0.247, 0.753, 0.500], [0.504, 0.496, 0.000], [0.991, 0.009, 0.000], [0.417, 0.567, 0.843], [0.426, 0.248, 0.157], [0.433, 0.583, 0.157], [0.752, 0.574, 0.843], [0.153, 0.858, 0.298], [0.147, 0.454, 0.705], [0.142, 0.847, 0.702], [0.546, 0.853, 0.295], [0.837, 0.150, 0.703], [0.841, 0.546, 0.298], [0.850, 0.163, 0.297], [0.454, 0.159, 0.702]], "de_polymorph_ev_per_atom": 0.004, "n_ef_per_ev_fu": 0.00, "e_form_raw_ev_per_atom": -2.910, "space_group": "C2 (5)"}